Texas Holdem Tips Video Source & Information:
For the first time I go face to face with y’all to bring you a home poker tournament Starting Stack, Chip Breakdown and Blind Structure 14 years in the making!
I’ve had a successful No-Limit Hold-Em poker tournament, once a month for the past decade and a half – and I’m here to share with you everything regarding poker chips and how they play into a great night of tournament poker.
Please feel to comment and ask questions – I’m sure there’s details I forgot, I will do my best to answer all of your inquiries!
Source: YouTube

The heck does he mean by "T1000" and "T500"? I know what the numbers stand for that's the value of each chip. What does the "T" stand for?
Hey Chris, have you ever disclosed your blind structure and chip/color count for your high stakes tournaments as you suggested you sometimes have with the 43mm Apache clays that you use 500-1000-5000-25000-100000 ??
Question about buying back in.
Suppose a single table, 10 player tournament. If you buy the number of chips you suggest, then all the 25s, 100s, 500s, and 1000s are in play, but there are extra 5000s. So when someone busts and buys back in, do you give them the exact composition of their starting stack again (meaning you would need more chips) or do you just give them the value of their buy-in a larger denom and have them make change at the table?
What would be the starting stack of you start at 100 instead of 25?
OMG, those Aurora Star chips look AMAZING!!!!!!!
How we play home cash games.
whites $1, reds $5, blues $20, greens $50.
(Chip values are 10-20 times higher than actual cash values.)
(Inserted here: data records)
Entry 1:
For Pm2Zn3Cu4, a cell relaxed with GGA-PBE gives the computed X-ray powder pattern in this record (CuKα).
Neutral-atom scattering factors, no anomalous dispersion.

a = 5.086 Å, b = 9.148 Å, c = 13.409 Å
α = 90.00°, β = 90.00°, γ = 90.00°
Space group Fmmm (No. 69)
Symmetry-distinct sites (fractional):
1 Pm 0.000 0.000 0.142 x8
2 Zn 0.000 0.000 0.500 x4
3 Zn 0.250 0.250 0.000 x8
4 Cu 0.000 0.177 0.331 x16

Largest 10 diffraction maxima, in order of rising 2θ, 10° ≤ 2θ ≤ 90°:
| 2theta | I (rel.) |
| --- | --- |
| 28.31 | 30.6 |
| 33.13 | 16.1 |
| 34.95 | 23.8 |
| 35.29 | 24.1 |
| 39.40 | 13.6 |
| 39.94 | 100.0 |
| 40.36 | 29.2 |
| 40.59 | 15.1 |
| 44.73 | 21.0 |
| 66.47 | 20.9 |

***

Entry 2:
For Sm3Dy4Zn4, a cell relaxed with GGA-PBE gives the computed X-ray powder pattern in this record (CuKα).
Neutral-atom scattering factors, no anomalous dispersion.

a = 5.096 Å, b = 7.126 Å, c = 16.109 Å
α = 90.00°, β = 90.00°, γ = 90.00°
Space group Immm (No. 71)
Symmetry-distinct sites (fractional):
1 Sm 0.000 0.000 0.000 x2
2 Sm 0.000 0.500 0.103 x4
3 Dy 0.000 0.271 0.322 x8
4 Zn 0.000 0.000 0.187 x4
5 Zn 0.000 0.181 0.500 x4

Largest 10 diffraction maxima, in order of rising 2θ, 10° ≤ 2θ ≤ 90°:
| 2theta | I (rel.) |
| --- | --- |
| 24.08 | 24.0 |
| 27.37 | 18.4 |
| 30.45 | 27.7 |
| 30.96 | 37.0 |
| 31.13 | 100.0 |
| 32.89 | 27.9 |
| 33.37 | 18.7 |
| 34.98 | 41.4 |
| 35.22 | 52.4 |
| 41.75 | 20.7 |

***

Entry 3:
For Na6TlIn, a cell relaxed with GGA-PBE gives the computed X-ray powder pattern in this record (CuKα).
Neutral-atom scattering factors, no anomalous dispersion.

a = 8.7123 Å, b = 8.7123 Å, c = 11.1280 Å
α = 90.00°, β = 90.00°, γ = 120.00°
Space group R-3 (No. 148, hexagonal axes)
Symmetry-distinct sites (fractional):
1 Na 0.0005 0.2481 0.2507 x18
2 Tl 0.0000 0.0000 0.0000 x3
3 In 0.0000 0.0000 0.5000 x3

Largest 10 diffraction maxima, in order of rising 2θ, 10° ≤ 2θ ≤ 90°:
| 2theta | I (rel.) |
| --- | --- |
| 19.83 | 100.0 |
| 20.39 | 95.7 |
| 28.59 | 78.7 |
| 34.36 | 49.0 |
| 35.37 | 90.5 |
| 35.70 | 42.9 |
| 53.71 | 26.7 |
| 54.90 | 24.9 |
| 55.61 | 24.0 |
| 55.84 | 24.3 |

***

Entry 4:
For TbHgBPt4, a cell relaxed with GGA-PBE gives the computed X-ray powder pattern in this record (CuKα).
Neutral-atom scattering factors, no anomalous dispersion.

a = 10.559 Å, b = 10.559 Å, c = 10.559 Å
α = 90.00°, β = 90.00°, γ = 90.00°
Space group F-43m (No. 216)
Symmetry-distinct sites (fractional):
1 Tb 0.000 0.000 0.000 x4
2 Hg 0.250 0.250 0.250 x4
3 B 0.250 0.250 0.750 x4
4 Pt 0.143 0.143 0.857 x16

Largest 10 diffraction maxima, in order of rising 2θ, 10° ≤ 2θ ≤ 90°:
| 2theta | I (rel.) |
| --- | --- |
| 14.53 | 100.0 |
| 23.83 | 52.4 |
| 28.03 | 71.6 |
| 29.30 | 64.6 |
| 37.11 | 62.4 |
| 41.91 | 30.9 |
| 44.59 | 62.8 |
| 48.79 | 46.5 |
| 62.85 | 18.8 |
| 66.23 | 21.3 |

***

Entry 5:
For Rb3CaNp3Te8, a cell relaxed with GGA-PBE gives the computed X-ray powder pattern in this record (CuKα).
(The data records stop here)
Blinds start at $1/$2 in chips as a deepstack warmup, quickly move up to $2/$5 and stay there.
min buyin, $200 in chips ($10-$20 in cash)
$1 x 20
$5 x 16
$20 x 5
$50 x 0
max buyin, $500 in chips ($25-$50 in cash)
$1 x 20
$5 x 16
$20 x 10
$50 x 4
Chip-to-cash conversion rates are pretty simple:
If the min buyin is set at $20, Chips ÷ 10 = Cash. ($200 in chips ÷ 10 = $20 in cash.)
If the min buyin is set at $10, Chips x 5 = Cents.
($200 in chips x 5 = 1000 cents = $10.00)
Other details: We run a $1 ante that you can bypass if you take a drink. Some of us roll 2 die to determine the size of our preflop open. We do alternative gambling games for low stakes (white chips only) every 10 hands or so.
Hope this helps.
Where can I find the "No One Cares What you Folded" sign? It's awesome! Would love to get one for my poker room
Ever have a prize for the winner? A custom commemorative chip or trophy?
This video was exactly what I needed to order the right amount of tournament poker chips. Thank you!
Thanks for the video. I recently bought some new chips and have been struggling to find a good starting stack. This helped a ton.
I’ve been running a monthly game with friends for over a year and attendance is not always as great as I would like. I’ve been thinking about trying to set up a year long league to spark more interest. Do you have any experience with a league or have any advice for starting one. Is there a program you could recommend to help me keep stats and points in order?